[File]
Computed, not measured: a 6-piece molecular cluster, C43H82O8 overall, with ωB97M-V/def2-TZVPD.

```
133
Properties=species:S:1:pos:R:3:forces:R:3:mulliken_charge:R:1
C 1.779 -4.393 -3.644 1.00 0.51 -0.21 -0.828
C 1.174 -2.903 -4.083 0.53 0.25 0.99 -0.407
C -0.121 -2.464 -3.119 1.70 -0.06 -0.29 -0.381
C 0.532 -1.958 -1.705 0.51 -0.17 0.00 -0.089
C -0.492 -1.943 -0.425 0.64 -0.54 0.23 -0.387
C -0.515 -0.533 0.425 -0.70 -0.43 0.69 -0.572
C 0.986 -0.107 1.026 0.25 -1.12 -1.37 0.070
C 1.541 -1.228 2.075 0.76 -1.62 1.42 0.745
C 2.533 -2.414 1.437 -0.88 -0.43 4.08 -0.512
C 3.131 -3.640 2.348 -2.99 3.51 1.49 -0.763
C 2.687 -3.644 3.950 -0.59 1.55 -2.21 0.363
C 1.698 -2.452 4.584 0.80 -0.66 -1.77 0.254
C 1.100 -1.196 3.653 2.37 -3.23 -0.74 0.335
O 0.222 -0.257 4.324 2.60 -1.41 -2.04 -0.450
C 0.627 1.133 4.306 0.20 2.92 0.61 -0.507
C 2.174 1.488 4.689 0.85 0.46 -0.30 0.018
C 3.231 1.407 3.394 -0.03 0.71 0.16 -0.783
C 2.754 0.762 6.044 0.73 1.77 0.34 0.706
C 4.255 1.451 6.308 -0.14 -0.83 -0.43 -1.114
C 1.826 1.228 7.311 0.32 0.91 -0.37 -1.152
C 1.334 -2.645 6.191 -2.32 2.36 2.55 0.539
O 0.655 -1.773 6.940 3.99 -5.02 -4.61 -0.544
C 1.787 -4.058 6.963 1.97 -2.11 -2.05 -0.364
C 2.652 -5.105 6.355 -1.95 2.69 0.81 -0.510
C 3.259 -4.921 4.839 2.45 -2.38 -1.84 0.348
O 4.161 -5.779 4.294 -5.72 5.32 3.69 -0.549
H 2.873 -4.241 -3.192 -2.38 -0.34 -0.95 0.152
H 1.933 -5.077 -4.595 -0.59 1.23 2.11 0.289
H 1.154 -4.904 -2.795 0.99 0.87 -1.86 0.248
H 0.939 -2.815 -5.225 0.33 -0.38 2.22 0.348
H 2.062 -2.141 -3.845 -2.06 -1.43 -0.69 0.202
H -0.674 -1.578 -3.650 0.69 -1.89 1.17 0.271
H -0.771 -3.422 -2.951 0.94 2.01 -0.37 0.136
H 1.446 -2.681 -1.447 -1.97 1.50 -0.62 -0.198
H 1.015 -0.897 -1.891 -1.05 -2.02 0.37 0.236
H -1.544 -2.275 -0.817 1.79 0.99 0.90 0.311
H -0.141 -2.804 0.323 -0.79 1.88 -1.56 0.202
H -0.968 0.342 -0.206 1.10 -1.58 1.06 0.264
H -1.279 -0.712 1.325 1.75 0.50 -1.79 0.252
H 1.040 1.003 1.385 -0.35 -2.32 -0.36 -0.523
H 1.702 -0.161 0.071 -1.36 0.13 2.18 0.243
H 2.771 -2.359 0.280 -0.55 -0.06 2.74 0.264
H 3.803 -4.478 1.862 -1.48 1.89 1.27 0.160
H -0.035 1.682 5.138 1.32 -1.61 -1.75 0.392
H 0.360 1.731 3.308 0.52 -1.68 1.83 -0.056
H 2.169 2.654 4.954 -0.24 -2.47 -0.52 0.420
H 3.589 0.315 3.173 -0.86 2.10 0.25 0.213
H 4.207 2.067 3.582 -2.22 -1.46 -0.17 0.404
H 2.696 1.926 2.464 1.16 -1.41 1.87 -0.077
H 2.951 -0.384 5.955 -0.78 2.12 0.10 -0.024
H 4.214 2.638 6.174 0.16 -2.69 0.31 0.227
H 5.005 0.946 5.535 -1.47 1.40 1.61 0.287
H 4.641 1.160 7.376 -0.81 0.72 -1.99 0.385
H 1.710 2.413 7.218 0.31 -2.43 0.19 0.292
H 2.430 1.052 8.301 -1.50 0.06 -1.81 0.343
H 0.735 0.805 7.317 2.31 0.46 0.12 0.224
H 1.372 -4.243 8.066 0.93 0.74 -2.75 0.292
H 2.869 -6.083 6.997 -0.28 2.33 -1.81 0.283
C 1.017 5.471 1.151 -0.17 0.22 0.04 -1.174
C 0.773 4.398 0.105 -0.07 -0.06 0.13 -0.217
O -0.459 3.706 0.283 0.08 -0.14 0.06 -0.292
C -1.648 4.487 0.191 -0.05 -0.07 -0.13 -0.290
C -1.839 5.133 -1.171 0.23 0.15 -0.08 -0.861
H 0.894 5.064 2.160 0.08 -0.02 -0.11 0.292
H 2.028 5.879 1.054 -0.11 -0.07 0.01 0.409
H 0.311 6.300 1.045 0.11 -0.02 0.00 0.291
H 1.565 3.646 0.185 -0.25 -0.10 -0.03 0.327
H 0.837 4.810 -0.907 -0.02 0.08 0.00 0.238
H -1.676 5.235 0.991 0.03 0.05 -0.04 0.310
H -2.483 3.803 0.374 0.28 -0.08 0.07 0.188
H -1.087 5.905 -1.356 -0.12 0.00 -0.04 0.058
H -2.824 5.604 -1.236 0.11 -0.07 0.01 0.423
H -1.748 4.389 -1.968 -0.08 0.06 0.13 0.290
C -3.784 -3.509 -5.712 -0.18 0.12 -0.18 -1.144
C -4.002 -3.577 -4.211 0.11 0.13 0.00 -0.282
O -4.150 -2.298 -3.603 0.07 0.00 0.06 -0.362
C -5.262 -1.515 -4.030 0.02 -0.02 0.15 -0.297
C -6.604 -2.165 -3.735 -0.06 -0.25 -0.09 -0.989
H -2.969 -2.821 -5.955 -0.02 -0.12 0.08 0.292
H -3.543 -4.500 -6.110 -0.02 0.11 0.07 0.403
H -4.679 -3.150 -6.230 0.06 -0.09 -0.01 0.302
H -3.122 -4.039 -3.752 -0.12 0.24 0.11 0.289
H -4.854 -4.219 -3.964 -0.06 0.00 -0.07 0.326
H -5.168 -1.265 -5.092 -0.06 -0.05 -0.01 0.319
H -5.204 -0.570 -3.481 0.21 -0.17 -0.02 0.217
H -6.756 -3.061 -4.343 -0.06 0.09 0.02 0.367

[Exercise]
Now quote the whole of the calculation results earlier on verbatim.

[Result]
Computed, not measured: a 6-piece molecular cluster, C43H82O8 overall, with ωB97M-V/def2-TZVPD.

```
133
Properties=species:S:1:pos:R:3:forces:R:3:mulliken_charge:R:1
C 1.779 -4.393 -3.644 1.00 0.51 -0.21 -0.828
C 1.174 -2.903 -4.083 0.53 0.25 0.99 -0.407
C -0.121 -2.464 -3.119 1.70 -0.06 -0.29 -0.381
C 0.532 -1.958 -1.705 0.51 -0.17 0.00 -0.089
C -0.492 -1.943 -0.425 0.64 -0.54 0.23 -0.387
C -0.515 -0.533 0.425 -0.70 -0.43 0.69 -0.572
C 0.986 -0.107 1.026 0.25 -1.12 -1.37 0.070
C 1.541 -1.228 2.075 0.76 -1.62 1.42 0.745
C 2.533 -2.414 1.437 -0.88 -0.43 4.08 -0.512
C 3.131 -3.640 2.348 -2.99 3.51 1.49 -0.763
C 2.687 -3.644 3.950 -0.59 1.55 -2.21 0.363
C 1.698 -2.452 4.584 0.80 -0.66 -1.77 0.254
C 1.100 -1.196 3.653 2.37 -3.23 -0.74 0.335
O 0.222 -0.257 4.324 2.60 -1.41 -2.04 -0.450
C 0.627 1.133 4.306 0.20 2.92 0.61 -0.507
C 2.174 1.488 4.689 0.85 0.46 -0.30 0.018
C 3.231 1.407 3.394 -0.03 0.71 0.16 -0.783
C 2.754 0.762 6.044 0.73 1.77 0.34 0.706
C 4.255 1.451 6.308 -0.14 -0.83 -0.43 -1.114
C 1.826 1.228 7.311 0.32 0.91 -0.37 -1.152
C 1.334 -2.645 6.191 -2.32 2.36 2.55 0.539
O 0.655 -1.773 6.940 3.99 -5.02 -4.61 -0.544
C 1.787 -4.058 6.963 1.97 -2.11 -2.05 -0.364
C 2.652 -5.105 6.355 -1.95 2.69 0.81 -0.510
C 3.259 -4.921 4.839 2.45 -2.38 -1.84 0.348
O 4.161 -5.779 4.294 -5.72 5.32 3.69 -0.549
H 2.873 -4.241 -3.192 -2.38 -0.34 -0.95 0.152
H 1.933 -5.077 -4.595 -0.59 1.23 2.11 0.289
H 1.154 -4.904 -2.795 0.99 0.87 -1.86 0.248
H 0.939 -2.815 -5.225 0.33 -0.38 2.22 0.348
H 2.062 -2.141 -3.845 -2.06 -1.43 -0.69 0.202
H -0.674 -1.578 -3.650 0.69 -1.89 1.17 0.271
H -0.771 -3.422 -2.951 0.94 2.01 -0.37 0.136
H 1.446 -2.681 -1.447 -1.97 1.50 -0.62 -0.198
H 1.015 -0.897 -1.891 -1.05 -2.02 0.37 0.236
H -1.544 -2.275 -0.817 1.79 0.99 0.90 0.311
H -0.141 -2.804 0.323 -0.79 1.88 -1.56 0.202
H -0.968 0.342 -0.206 1.10 -1.58 1.06 0.264
H -1.279 -0.712 1.325 1.75 0.50 -1.79 0.252
H 1.040 1.003 1.385 -0.35 -2.32 -0.36 -0.523
H 1.702 -0.161 0.071 -1.36 0.13 2.18 0.243
H 2.771 -2.359 0.280 -0.55 -0.06 2.74 0.264
H 3.803 -4.478 1.862 -1.48 1.89 1.27 0.160
H -0.035 1.682 5.138 1.32 -1.61 -1.75 0.392
H 0.360 1.731 3.308 0.52 -1.68 1.83 -0.056
H 2.169 2.654 4.954 -0.24 -2.47 -0.52 0.420
H 3.589 0.315 3.173 -0.86 2.10 0.25 0.213
H 4.207 2.067 3.582 -2.22 -1.46 -0.17 0.404
H 2.696 1.926 2.464 1.16 -1.41 1.87 -0.077
H 2.951 -0.384 5.955 -0.78 2.12 0.10 -0.024
H 4.214 2.638 6.174 0.16 -2.69 0.31 0.227
H 5.005 0.946 5.535 -1.47 1.40 1.61 0.287
H 4.641 1.160 7.376 -0.81 0.72 -1.99 0.385
H 1.710 2.413 7.218 0.31 -2.43 0.19 0.292
H 2.430 1.052 8.301 -1.50 0.06 -1.81 0.343
H 0.735 0.805 7.317 2.31 0.46 0.12 0.224
H 1.372 -4.243 8.066 0.93 0.74 -2.75 0.292
H 2.869 -6.083 6.997 -0.28 2.33 -1.81 0.283
C 1.017 5.471 1.151 -0.17 0.22 0.04 -1.174
C 0.773 4.398 0.105 -0.07 -0.06 0.13 -0.217
O -0.459 3.706 0.283 0.08 -0.14 0.06 -0.292
C -1.648 4.487 0.191 -0.05 -0.07 -0.13 -0.290
C -1.839 5.133 -1.171 0.23 0.15 -0.08 -0.861
H 0.894 5.064 2.160 0.08 -0.02 -0.11 0.292
H 2.028 5.879 1.054 -0.11 -0.07 0.01 0.409
H 0.311 6.300 1.045 0.11 -0.02 0.00 0.291
H 1.565 3.646 0.185 -0.25 -0.10 -0.03 0.327
H 0.837 4.810 -0.907 -0.02 0.08 0.00 0.238
H -1.676 5.235 0.991 0.03 0.05 -0.04 0.310
H -2.483 3.803 0.374 0.28 -0.08 0.07 0.188
H -1.087 5.905 -1.356 -0.12 0.00 -0.04 0.058
H -2.824 5.604 -1.236 0.11 -0.07 0.01 0.423
H -1.748 4.389 -1.968 -0.08 0.06 0.13 0.290
C -3.784 -3.509 -5.712 -0.18 0.12 -0.18 -1.144
C -4.002 -3.577 -4.211 0.11 0.13 0.00 -0.282
O -4.150 -2.298 -3.603 0.07 0.00 0.06 -0.362
C -5.262 -1.515 -4.030 0.02 -0.02 0.15 -0.297
C -6.604 -2.165 -3.735 -0.06 -0.25 -0.09 -0.989
H -2.969 -2.821 -5.955 -0.02 -0.12 0.08 0.292
H -3.543 -4.500 -6.110 -0.02 0.11 0.07 0.403
H -4.679 -3.150 -6.230 0.06 -0.09 -0.01 0.302
H -3.122 -4.039 -3.752 -0.12 0.24 0.11 0.289
H -4.854 -4.219 -3.964 -0.06 0.00 -0.07 0.326
H -5.168 -1.265 -5.092 -0.06 -0.05 -0.01 0.319
H -5.204 -0.570 -3.481 0.21 -0.17 -0.02 0.217
H -6.756 -3.061 -4.343 -0.06 0.09 0.02 0.367